here goes one last shout out from Honduras to you all! We are
officially in our last week as we write this. Our heads are
spinning with many different thoughts and feelings as we come to the
end of the road here. So many things to take care of and
remember, but God is giving us the grace to plow through it. What
began weeks ago with a slow contraction of our lives here in Honduras
has now shifted into high gear. Our house is emptying out
quickly and it looks like our truck will be gone on Monday.
a blessed relief to have a buyer for the truck! Thanks for your
prayers to that end. Trying to get repairs completed while
knowing we were running out of time to sell the truck had been a
source of stress. We were not able get the 4x4 repaired, but
did finally get what we consider to be a reliable diagnosis of the
problem. Some fellow missionaries have agreed to purchase the
_These data records were left in the text by mistake_
=====
Record 1
Density functional theory data (PBE) for an optimized crystal structure of Na2GeH12S2O7.

Computed properties:
Formation enthalpy at 0 K (eV per formula unit): -31.49
Density (Mg/m³): 1.92
V (Å³ per cell): 2128.3
M_tot (Bohr magnetons per cell): 0.04

a b c (Å): 10.8079 13.9337 14.1324
angles (deg): 90.00 90.00 90.00
With the nearest neighbours (Å) after each atom.
Sites, in units of the cell vectors:
1 Na 0.0000 0.0000 0.0000  4 O 2.33-2.45
2 Na 0.0000 0.0000 0.5000  4 O 2.33-2.45
3 Na 0.0000 0.0517 0.2500  6 O 2.32-2.56
4 Na 0.0000 0.9483 0.7500  6 O 2.32-2.56
5 Na 0.0008 0.4864 0.1234  5 O 2.38-2.46
6 Na 0.0008 0.5136 0.6234  5 O 2.38-2.46
7 Na 0.4992 0.0136 0.6234  5 O 2.38-2.46
8 Na 0.4992 0.9864 0.1234  5 O 2.38-2.46
9 Na 0.5000 0.4483 0.7500  6 O 2.32-2.56
10 Na 0.5000 0.5000 0.0000  4 O 2.33-2.45
11 Na 0.5000 0.5000 0.5000  4 O 2.33-2.45
12 Na 0.5000 0.5517 0.2500  6 O 2.32-2.56
13 Na 0.5008 0.0136 0.8766  5 O 2.38-2.46
14 Na 0.5008 0.9864 0.3766  5 O 2.38-2.46
15 Na 0.9992 0.4864 0.3766  5 O 2.38-2.46
16 Na 0.9992 0.5136 0.8766  5 O 2.38-2.46
17 Ge 0.1884 0.1480 0.6442  2 O 1.85-1.86
18 Ge 0.1884 0.8520 0.1442  2 O 1.85-1.86
19 Ge 0.3116 0.3520 0.1442  2 O 1.85-1.86
20 Ge 0.3116 0.6480 0.6442  2 O 1.85-1.86
21 Ge 0.6884 0.3520 0.3558  2 O 1.85-1.86
22 Ge 0.6884 0.6480 0.8558  2 O 1.85-1.86
23 Ge 0.8116 0.1480 0.8558  2 O 1.85-1.86
24 Ge 0.8116 0.8520 0.3558  2 O 1.85-1.86
25 H 0.0328 0.1313 0.8424  1 O 0.99
26 H 0.0328 0.8687 0.3424  1 O 0.99
27 H 0.0495 0.1801 0.4277  1 O 0.99
28 H 0.0495 0.8199 0.9277  1 O 0.99
29 H 0.0545 0.3354 0.5237  1 O 0.99
30 H 0.0545 0.6646 0.0237  1 O 0.99
31 H 0.0703 0.3476 0.7574  1 O 0.99
32 H 0.0703 0.6524 0.2574  1 O 0.99
33 H 0.0735 0.3299 0.2568  1 O 0.99
34 H 0.0735 0.6701 0.7568  1 O 0.99
35 H 0.0899 0.3470 0.9880  1 O 0.99
36 H 0.0899 0.6530 0.4880  1 O 0.99
37 H 0.0954 0.1805 0.0819  1 O 0.99
38 H 0.0954 0.8195 0.5819  1 O 0.99
39 H 0.2252 0.0467 0.3430  1 O 1.00
40 H 0.2252 0.9533 0.8430  1 O 1.00
41 H 0.2287 0.1432 0.2811  1 O 0.99
42 H 0.2287 0.8568 0.7811  1 O 0.99
43 H 0.2378 0.4920 0.5122  1 O 1.00
44 H 0.2378 0.5080 0.0122  1 O 1.00
45 H 0.2414 0.4912 0.6807  1 O 1.00
46 H 0.2414 0.5088 0.1807  1 O 1.00
47 H 0.2463 0.0912 0.9342  1 O 0.98
48 H 0.2463 0.9088 0.4342  1 O 0.98
49 H 0.2537 0.4088 0.4342  1 O 0.98
50 H 0.2537 0.5912 0.9342  1 O 0.98
51 H 0.2586 0.0088 0.1807  1 O 1.00
52 H 0.2586 0.9912 0.6807  1 O 1.00
53 H 0.2622 0.0080 0.0122  1 O 1.00
54 H 0.2622 0.9920 0.5122  1 O 1.00
55 H 0.2713 0.3568 0.7811  1 O 0.99
56 H 0.2713 0.6432 0.2811  1 O 0.99
57 H 0.2748 0.4533 0.8430  1 O 1.00
58 H 0.2748 0.5467 0.3430  1 O 1.00
59 H 0.4046 0.3195 0.5819  1 O 0.99
60 H 0.4046 0.6805 0.0819  1 O 0.99
61 H 0.4101 0.1530 0.4880  1 O 0.99
62 H 0.4101 0.8470 0.9880  1 O 0.99
63 H 0.4265 0.1701 0.7568  1 O 0.99
64 H 0.4265 0.8299 0.2568  1 O 0.99
65 H 0.4297 0.1524 0.2574  1 O 0.99
66 H 0.4297 0.8476 0.7574  1 O 0.99
67 H 0.4455 0.1646 0.0237  1 O 0.99
68 H 0.4455 0.8354 0.5237  1 O 0.99
=====
truck, get the needed part shipped in and complete the repair
themselves. We are still owed some money by the previous
mechanic but that's in the Lord's hands. God has a very unique
way in which He weaves things together for His glory and purposes.
He used this frustrating truck repair experience to make it
clear to both of us (independently, but at the same time) that the
truck is His, we shouldn't worry about its issues and oh, by the way,
when we sell it the money should go back into the work here in
Honduras. Hmmm....not what we were originally thinking but
considering the peace this thought process brought us, we knew it
could have only come from God.
said it before, but it's worth saying again: our truck has been a
real blessing to us and opened many possibilities we would not have
otherwise had. Many,many others have been blessed by it as
well, which quite possibly is why the repair bills have been adding
up lately ;-}. Guess we're feeling a little sentimental (or
guilty) about selling off one of our "partners" in
intense area for us in the past few weeks has been the process of
walking along side La Finca, particularly Alonso and Michele, as
they've been working through a difficult situation. We were
glad we were still here to support them during this rough time.
Praise God, the worst of this storm seems to have passed and we
are hoping and praying the directors of La Finca can once again focus
on their mission of ministering to the needs of the children in their
are excited about the potential for future collaboration between El
Camino Adelante and La Finca. Rafael Rivas, who is taking our
place as director of ECA, will be the point man in making this
co-operative relationship work. ECA, by way of Rafa, will
offer practical help where possible at La Finca and most importantly
continue building relationships with the kids.
now some final words of reflection on our experience in Honduras.
Looking back, we recall leaving Honduras in 2003 with a sense
of heaviness. We had been watching many older kids and youth
leave La Finca and sort of disappear off the radar. We knew
they were facing unbelievable challenges with little or no help. It
was very unsettling at times, knowing the great effort that up until
that point had gone into preserving and sustaining their lives, and
suddenly they were gone with the wind in many cases, not having
anybody to watch out for their wellbeing. At some point, as we
observed all this, we knew in our hearts that in the future, if God
presented the opportunity to us, we were obligated to serve in this
area of need..
a few years (in 2010) later, this opportunity to act would present
itself and would become a reality. However, when we returned to
Honduras in 2008, we did not necessarily come with the intention to
work in this area. But it remained an underlying concern and as
we served at La Finca the urgency of the need once again became very
clear to us. We were by no means the only ones to perceive this
need, but we knew we were in a unique position to do something about
it. We knew we were in one of those situations where there was
no mistaking the need to act, even if in many aspects we felt we were
clueless and attempting something way beyond us. Indeed, as we
have been walking alongside these transitioning youth, we have been
frequently reminded that we many times don't have the capabilities or
the answers they need. But God has shown us over and over again
that He does have what they need and, as we've learned, His grace is
more than sufficient to make up for the many places we come up short!
as we leave Honduras this time, there is a different feeling in our
spirits, a much more hopeful one. Not because of anything we have
done but we have witnessed God's faithfulness to the least of these.
We know He will continue to use willing hands to bless the people
that are near and dear to us. As for what we have been able to
accomplish here in Honduras, the words of Jesus from Luke 17:10 come
to mind: “So
you also, when you have done everything you were told to do, should
say. We are unworthy servants; we have only done our duty.”
humbling it has been to serve the Lord knowing we are unworthy and
imperfect servants. Yet the grace of our Lord Jesus Christ has been
sufficient for us to answer the calling He has given!
will soon let you know of ways you can continue to follow and support
the efforts we have been involved with here in Honduras. Please
continue to pray for each of the young people we have been working
with. By God's grace, they all continue finding their way on "el
camino adelante"!
thanks again to each one of you for your love and support. There are
no adequate words to express what you have meant to us. May God
richly bless you.
Janelle, Angelica, Ali & Zack